Source code for blockade.api

#!/usr/bin/env python
"""Abstraction over the admin API."""
import json
import requests
**Records of molecules from another source follow**
=====
Density functional theory data (ωB97M-V/def2-TZVPD) for one molecule with the formula C5H14N2O at a distorted geometry.

Its SMILES is CNC[C@H](N)CCO. The energy relative to the best compared isomer or geometry (same formula, charge and spin) comes out at 244.4 kJ/mol. The value obtained for the orbital gap is 10.065 eV. For the LUMO energy, the calculation gives 1.0 eV. The calculation puts the total energy at -383.60762 a.u.

Geometry as ORCA input:
```
! RIJCOSX wB97M-V def2-TZVPD def2/J DEFGRID3
* xyz 0 1
C 2.870 -0.047 1.212
N 1.777 -0.156 0.176
C 0.638 0.736 0.524
C -0.425 0.472 -0.516
N -0.674 1.786 -1.207
C -1.744 -0.138 0.031
C -1.813 -1.661 -0.036
O -1.455 -2.148 -1.346
H 3.274 0.959 1.162
H 2.418 -0.274 2.152
H 3.648 -0.759 1.014
H 2.233 0.194 -0.664
H 0.343 0.480 1.551
H 0.925 1.830 0.638
H -0.072 -0.175 -1.321
H -0.964 1.728 -2.169
H -1.292 2.379 -0.676
H -1.853 0.157 1.093
H -2.606 0.317 -0.499
H -1.118 -2.240 0.569
H -2.812 -2.035 0.236
H -1.298 -1.405 -1.925
*
```



Density functional theory data (ωB97M-V/def2-TZVPD) for a 11-piece molecular cluster, C42H93B5F20N9O3 overall at a distorted geometry.

The energy relative to the best compared isomer or geometry (same formula, charge and spin) comes out at 398.0 kJ/mol. The value obtained for the orbital gap is 9.347 eV. For the LUMO energy, the calculation gives -1.9 eV. The calculation puts the total energy at -4496.89453 a.u.

Geometry as ORCA input:
```
! RIJCOSX wB97M-V def2-TZVPD def2/J DEFGRID3
* xyz 1 1
C -5.931 1.848 1.001
C -6.368 2.954 2.131
N -5.324 3.185 3.279
C -5.281 1.847 4.043
C -3.911 3.461 2.655
C -3.899 4.661 1.673
C -5.864 4.327 4.177
C -5.081 4.717 5.390
O -4.770 3.632 6.318
C -3.896 4.064 7.376
H -5.730 0.834 1.348
H -5.086 2.225 0.426
H -6.763 1.692 0.314
H -7.249 2.677 2.711
H -6.590 3.921 1.680
H -4.862 1.127 3.341
H -6.309 1.707 4.379
H -4.624 1.894 4.912
H -3.694 2.552 2.094
H -3.099 3.534 3.377
H -4.210 4.277 0.702
H -2.881 5.016 1.511
H -4.544 5.487 1.972
H -6.852 3.934 4.417
H -5.953 5.235 3.581
H -5.647 5.518 5.866
H -4.110 5.134 5.124
H -4.512 4.472 8.178
H -3.072 4.749 7.177
H -3.404 3.229 7.875
C -0.633 2.820 0.663
C -1.362 1.515 0.005
N -0.375 0.280 -0.311
C 0.224 -0.213 1.009
C -1.110 -0.866 -0.997
C -2.332 -1.415 -0.112
C 0.855 0.632 -1.241
C 0.441 1.329 -2.571
O -0.142 0.473 -3.569
C -0.192 1.053 -4.872
H -0.666 2.876 1.751
H -1.240 3.696 0.436
H 0.398 2.909 0.321
H -1.810 1.834 -0.936
H -2.099 1.109 0.698
H -0.561 -0.506 1.706
H 0.874 0.532 1.467
H 0.808 -1.121 0.859
H -0.431 -1.695 -1.197
H -1.413 -0.514 -1.983
H -1.969 -1.590 0.901
H -2.779 -2.360 -0.421
H -3.127 -0.701 0.102
H 1.387 -0.316 -1.321
H 1.464 1.320 -0.654
H 1.318 1.825 -2.987
H -0.225 2.179 -2.426
H 0.780 1.259 -5.320
H -0.557 2.075 -4.776
H -0.950 0.555 -5.476
C 2.525 -2.170 3.546
C 3.251 -3.172 4.500
N 3.159 -4.626 4.037
C 1.682 -5.127 4.014
C 3.736 -4.843 2.609
C 4.009 -6.282 2.148
C 3.854 -5.566 5.088
C 5.193 -5.055 5.566
O 5.997 -4.688 4.481
C 7.395 -4.661 4.765
=====
from blockade.config import Config
from blockade.common.utils import get_logger

[docs]class Client(object): """Base client that all data sources will inherit from.""" DEFAULT_SERVER = '' TIMEOUT = 30 def __init__(self, email, api_key, server=DEFAULT_SERVER, http_proxy=None, https_proxy=None, verify=True, headers=None, debug=False): """Initial loading of the client. :param str email: Email of the blockade user :param str api_key: API key for the blockade user :param str server: Hostname for the API :param str http_proxy: HTTP proxy to use (optional) :param str https_proxy: HTTPS proxy to use (optional) """ self.logger = get_logger('blockade-request') if server.endswith('/'): server = server.rstrip('/') self.api_base = server if server[0:4].lower() != 'http': self.api_base = 'https://%s' % (server) = email self.api_key = api_key self.headers = { 'Accept': 'application/json', 'Content-Type': 'application/json', } self.proxies = {} if http_proxy: self.proxies['http'] = http_proxy if https_proxy: self.proxies['https'] = https_proxy if headers: self.headers.update(headers) self.verify = verify if '' in server: self.verify = False
[docs] @classmethod def from_config(cls): """Method to return back a loaded instance.""" config = Config() client = cls( email=config.get('email'), api_key=config.get('api_key'), server=config.get('api_server'), http_proxy=config.get('http_proxy'), https_proxy=config.get('https_proxy'), ) return client
[docs] def set_debug(self, status): """Control the logging state.""" if status: self.logger.setLevel('DEBUG') else: self.logger.setLevel('INFO')
[docs] def _endpoint(self, endpoint, action, *url_args): """Return the URL for the action. :param str endpoint: The controller :param str action: The action provided by the controller :param url_args: Additional endpoints(for endpoints that take part of the url as option) :return: Full URL for the requested action """ args = (self.api_base, endpoint, action) if action == '': args = (self.api_base, endpoint) api_url = "/".join(args) if url_args: if len(url_args) == 1: api_url += "/" + url_args[0] else: api_url += "/".join(url_args) return api_url
[docs] def _json(self, response): """JSON response from server. :param response: Response from the server :throws ValueError: from requests' response.json() error :return: response deserialized from JSON """ if response.status_code == 204: return None try: return response.json() except ValueError as e: raise ValueError( 'Exception: %s\n' 'request: %s, response code: %s, response: %s' % ( str(e), response.request.url, response.status_code, response.content, ) )
## Misplaced molecular data
┌──
Record 1
Below is a structure of composition Ag2Cl3F9Sr9, with properties calculated with ωB97M-V/def2-TZVPD.

```
! wB97M-V def2-TZVPD RIJCOSX def2/J DEFGRID3
* xyz 8 1
Ag 5.3353 7.0654 5.7193
Ag 9.4842 6.9976 3.7161
Sr 11.0193 9.7476 10.8538
Sr 8.8076 7.8852 7.4554
Sr 5.4587 8.3537 9.7070
Sr 12.8266 7.2083 8.0784
Sr 6.5138 11.1721 6.4503
Sr 10.7947 3.7805 5.4736
Sr 8.8689 6.3044 11.1482
Sr 6.5579 3.9969 8.6029
Sr 11.2495 11.3415 7.3057
Cl 7.3686 9.1486 3.9850
Cl 7.5358 5.3405 5.9402
Cl 4.2755 5.9588 7.9484
F 6.4359 8.7730 7.1881
F 8.5132 9.0094 9.6748
F 10.5703 6.3360 9.1412
F 7.3611 6.4749 9.0874
F 11.3496 9.1866 8.4030
F 12.6060 4.7410 6.8774
F 9.2501 10.2322 6.5429
F 10.7397 7.1838 5.9932
F 8.9241 3.8982 10.1016
*
```

E_LUMO, eV: -23.92
Max |F|, hartree/bohr: 0.0780
Orbital gap, eV: 4.24
Electronic energy, hartree: -2846.5379

=====

Record 2
Below is a structure of composition AgH8O8P, with properties calculated with ωB97M-V/def2-TZVPD.

```
! wB97M-V def2-TZVPD RIJCOSX def2/J DEFGRID3
* xyz -1 2
Ag 0.1609 -0.0335 -0.0622
P -0.6796 -2.0287 1.7119
O -0.3605 -0.4871 1.9332
O 2.4748 -0.0501 0.0331
O -2.0554 0.5264 -0.6793
O 0.2387 0.3984 -2.3765
O 0.3209 2.0954 0.6330
O 0.3823 -2.8593 2.4291
O -2.1321 -2.3166 2.0920
O -0.4857 -2.1274 0.1647
H 2.9635 -0.6583 -0.5357
H 0.3104 1.1603 -2.9653
H -2.6649 0.2059 0.0086
H 0.3530 -0.3761 -2.9436
H -0.3066 2.7940 0.4080
H 3.1351 0.5721 0.3639
H 0.9493 2.5014 1.2431
H -2.6040 0.6831 -1.4580
*
```

E_LUMO (alpha / beta), eV: 2.03 / 2.03
Max |F|, hartree/bohr: 0.0590
Energy relative to the best compared isomer or geometry (same formula, charge and spin), kcal/mol: 15.5
Orbital gap (alpha / beta), eV: 4.71 / 4.60
Electronic energy, hartree: -1095.0879
<S²>: 0.762

=====

Record 3
Below is a structure of composition AlF2, with properties calculated with ωB97M-V/def2-TZVPD.

```
! wB97M-V def2-TZVPD RIJCOSX def2/J DEFGRID3
* xyz 1 1
Al -0.1746 -0.0078 0.5672
F 2.5507 -0.7424 0.3871
F -2.3761 0.7502 -0.9543
*
```

E_LUMO, eV: -12.82
Max |F|, hartree/bohr: 0.0609
Energy relative to the best compared isomer or geometry (same formula, charge and spin), kcal/mol: 77.0
Orbital gap, eV: 5.04
Electronic energy, hartree: -441.5362

=====

Record 4
Below is a structure of composition AlF5N2O8S4, with properties calculated with ωB97M-V/def2-TZVPD.

```
! wB97M-V def2-TZVPD RIJCOSX def2/J DEFGRID3
* xyz 0 1
S -3.0735 -3.9146 -0.6993
S -4.2786 -3.5458 -2.6750
S 4.2198 4.2858 2.3327
S 2.3416 3.1986 3.3797
Al 1.0669 1.0271 -2.8148
F 0.9537 2.6009 2.7929
F -1.8198 -3.3492 0.2148
F -4.0483 -2.5989 -3.9944
F 1.9028 -1.1807 -7.4472
F 4.8708 4.4672 0.8736
O 5.1436 3.3062 2.8392
O -5.5319 -3.0240 -2.1440
O -4.1670 -4.9238 -3.1613
O 3.0072 2.0713 4.1303
O 4.1349 5.5972 2.8537
O -2.4968 -5.2562 -0.9009
O 1.8521 4.2875 4.1624
O -4.1905 -3.6569 0.2259
N 2.9805 3.5484 1.8113
N -2.8674 -2.9403 -1.7797
*
```

E_LUMO, eV: -8.84
Max |F|, hartree/bohr: 0.2409
└──
[docs] def _get(self, endpoint, action, *url_args, **url_params): """Request API Endpoint - for GET methods. :param str endpoint: Endpoint :param str action: Endpoint Action :param url_args: Additional endpoints(for endpoints that take part of the url as option) :param url_params: Parameters to pass to url, typically query string :return: response deserialized from JSON """ api_url = self._endpoint(endpoint, action, *url_args) kwargs = {'headers': self.headers, 'params': url_params, 'timeout': Client.TIMEOUT, 'verify': self.verify} if self.proxies: kwargs['proxies'] = self.proxies self.logger.debug("Requesting: %s, %s" % (api_url, str(kwargs))) response = requests.get(api_url, **kwargs) return self._json(response)
[docs] def _send_data(self, method, endpoint, action, data, *url_args, **url_params): """Submit to API Endpoint - for DELETE, PUT, POST methods. :param str method: Method to use for the request :param str endpoint: Endpoint :param str action: Endpoint Action :param url_args: Additional endpoints(for endpoints that take part of the url as option) :param url_params: Parameters to pass to url, typically query string :return: response deserialized from JSON """ api_url = self._endpoint(endpoint, action, *url_args) data.update({'email':, 'api_key': self.api_key}) data = json.dumps(data) kwargs = {'headers': self.headers, 'params': url_params, 'verify': self.verify, 'data': data} if self.proxies: kwargs['proxies'] = self.proxies self.logger.debug("Requesting: %s %s, %s" % (method, api_url, str(kwargs))) response = requests.request(method, api_url, **kwargs) self.logger.debug("Response: %d, %s" % (response.status_code, response.content)) return self._json(response)